/ 25 January 2024

SA cricket does not look like SA cricket

South Africa V West Indies Icc U19 Men's Cricket World Cup South Africa 2024
Appeal: David Teeger, who has been a thorn in the side of Cricket South Africa. (Photo by Michael Steele-ICC/ICC via Getty Images)

Over the coming days, cricket fans will witness the sight of a third-string Proteas team, full of players you’ve never heard of, doing Test duty in New Zealand — an unprecedented event. 

This is because South Africa’s first- and second-choice players are occupied with the jamboree that is the second edition of the SA20. 

As a result, they aren’t available to play Test cricket for their country, once seen as the zenith of every cricketer’s career. 

The SA20 takes pride of place on the calendar because it pays the bills by generating broadcast rights revenue across the world. 

South Africa has a smaller pool of stellar players than England, India and Australia, so said players need to stay at home to wear coloured clothing, hit sixes and earn astonishingly large amounts of money. 

It helps, too, to be chipper about the endless blaring of Neil Diamond’s Sweet Caroline, sign a few autographs and pose for selfies. 

Not only does the double-booking give the impression that Cricket South Africa (CSA) can’t read their own Google Calendar but running two formats of the game concurrently gives the impression of diffusion. 

Where is cricket’s commercial core? Does this coincide with its emotional values? What are the game’s priorities? Nobody seems to know. 

Such diffusion is well expressed in recent events featuring sponsors Betway, an online betting platform. As an event sponsor of the Proteas, Betway’s latest contract with CSA was meant to end on 8 January, the final day of the second Test against India at Newlands.

As it turned out, the Test was over well before that, rolling to an early conclusion after a punch-drunk one-and-a-half days. 

The reason? Between them, the Western Province Cricket Association and CSA conspired to prepare a graveyard, rather than a pitch. 

## These calculated molecules were left in the entry by mistake
____________
Record 1
Here is a molecular structure, C21H23N5Zr from OMol25. Energies are from ωB97M-V/def2-TZVPD.

The geometry in ORCA input format:
```
! wB97M-V def2-TZVPD RIJCOSX def2/J DEFGRID3
* xyz 4 1
Zr 0.143 -0.316 -0.154
C 4.651 0.060 -0.080
C 4.853 1.434 -0.074
C 3.743 2.275 -0.064
C 2.475 1.741 -0.068
N 2.254 0.381 -0.075
C 3.364 -0.419 -0.074
C 1.262 2.573 -0.055
C 1.268 3.950 -0.054
C 0.056 4.634 -0.038
C -1.139 3.922 -0.026
C -1.094 2.547 -0.028
N 0.091 1.870 -0.043
C -2.272 1.675 -0.012
C -3.562 2.147 0.049
C -4.628 1.249 0.078
C -4.356 -0.114 0.054
C -3.046 -0.523 -0.002
N -1.986 0.332 -0.041
H 5.479 -0.636 -0.084
H 5.855 1.849 -0.073
H 3.890 3.345 -0.053
H 3.216 -1.486 -0.066
H 2.193 4.508 -0.064
H 0.044 5.718 -0.034
H -2.080 4.453 -0.016
H -3.760 3.208 0.079
H -5.649 1.611 0.126
H -5.149 -0.849 0.081
H -2.826 -1.576 -0.013
C 1.044 -2.683 0.229
C 1.288 -4.297 0.221
N 0.027 -4.881 -0.044
C -0.907 -4.682 1.050
C -1.090 -3.143 1.288
N -0.415 -2.420 0.149
C -0.860 -2.907 -1.197
C -0.506 -4.455 -1.310
H 1.527 -2.306 -0.698
H 1.468 -2.238 1.145
H 1.670 -4.584 1.198
H 2.021 -4.529 -0.549
H -0.532 -5.159 1.953
H -1.859 -5.146 0.797
H -0.618 -2.809 2.213
H -2.138 -2.858 1.316
H -0.313 -2.340 -1.982
H -1.924 -2.731 -1.322
H 0.208 -4.631 -2.112
H -1.423 -4.996 -1.539
*
```

Calculated values
F_max: 0.445 eV/A
energy: -30838.8598 eV

Want to see where the charge sits? The Mulliken charges in e are:
1 Zr 2.361
2 C -1.027
3 C -0.514
4 C -0.795
5 C 0.829
6 N -0.228
7 C -0.038
8 C 0.804
9 C -0.877
10 C -0.956
11 C -0.818
12 C 0.739
13 N -0.069
14 C 0.986
15 C -0.838
16 C -0.521
17 C -1.595
18 C -0.251
19 N -0.104
20 H 0.489
21 H 0.524
22 H 0.429
23 H 0.665
24 H 0.439
25 H 0.502
26 H 0.438
27 H 0.447
28 H 0.512
29 H 0.496
30 H 1.000
31 C -0.928
32 C -0.980
33 N 0.048
34 C -0.792
35 C -0.397
36 N -0.185
37 C -0.050
38 C -0.919
39 H 0.583
40 H 0.826
41 H 0.316
42 H 0.406
43 H 0.339
44 H 0.355
45 H 0.491
46 H 0.368
47 H 0.363
48 H 0.451
49 H 0.321
50 H 0.354



Record 2
Here is 9 unconnected molecules or ions with the total composition C57H67N13O3 from OMol25. Energies are from ωB97M-V/def2-TZVPD.

The geometry in ORCA input format:
```
! wB97M-V def2-TZVPD RIJCOSX def2/J DEFGRID3
* xyz 0 1
C -3.106 1.654 5.157
C -2.215 2.927 4.925
N -1.456 2.929 3.660
C -2.118 2.581 2.457
O -3.196 2.977 2.041
C -1.110 1.611 1.798
C -1.230 0.727 0.655
N -2.495 0.692 -0.037
C -0.045 -0.053 0.244
C -0.248 -0.993 -1.010
C -0.426 -2.476 -0.413
C -1.678 -3.233 -0.991
C -1.575 -4.726 -0.442
C -3.050 -2.672 -0.400
C 1.252 0.028 0.950
C 2.421 -0.811 0.376
C 3.467 -1.336 1.439
N 4.105 -2.560 0.818
N 2.887 -1.784 2.717
N 4.602 -0.379 1.642
C 1.321 0.904 2.113
O 2.507 1.045 2.824
C 0.170 1.666 2.521
C -0.058 2.655 3.688
O 0.695 3.175 4.471
H -2.571 0.789 5.625
H -3.905 1.954 5.896
H -3.641 1.280 4.251
H -2.880 3.832 4.936
H -1.524 3.006 5.806
H -2.296 0.777 -1.043
H -2.936 1.598 0.182
H 0.724 -0.951 -1.571
H -1.118 -0.691 -1.634
H 0.521 -3.078 -0.503
H -0.606 -2.380 0.697
____________

All of this meant lost sponsorship opportunities for Betway. 

They might, of course, renew as an event sponsor but it’s also an open secret in cricket circles that they’re none too pleased with CSA, so probably won’t. 

Quantum chemistry results that have nothing to do with the text:
=====
A molecular structure, C13H13FeNS in a non-equilibrium geometry, computed with ωB97M-V/def2-TZVPD.

```
29
Properties=species:S:1:pos:R:3:forces:R:3:lowdin_charge:R:1
C -2.774 -0.178 0.090 0.0 -0.3 -0.1 -0.131
C -1.836 0.326 1.112 -0.8 -0.8 0.6 -0.173
C -0.769 1.125 0.826 2.0 2.8 -0.6 -0.333
C 0.266 1.659 1.798 -1.8 -0.2 -0.6 -0.162
C 1.235 2.353 1.077 -0.1 1.9 -2.2 -0.220
C 0.870 2.329 -0.377 0.8 1.9 1.9 -0.207
C -0.316 1.616 -0.535 -1.4 -0.2 1.1 -0.136
Fe 1.118 0.388 0.367 -0.5 -0.4 -0.3 0.292
C 1.025 -1.658 -0.121 1.4 -0.8 0.6 -0.175
C 1.270 -1.490 1.299 1.3 -1.1 -0.8 -0.194
C 2.501 -0.735 1.456 0.0 -1.3 -0.5 -0.211
C 3.014 -0.435 0.132 0.0 -0.9 0.2 -0.215
C 2.101 -1.006 -0.844 0.1 -0.9 0.7 -0.191
H -3.318 -1.063 0.431 0.0 0.1 0.0 0.060
H -3.510 0.588 -0.165 -0.2 0.0 -0.3 0.064
H -2.241 -0.463 -0.820 -0.2 0.1 -0.2 0.050
H -2.008 0.069 2.143 0.0 -0.1 0.4 0.077
H 0.265 1.484 2.874 -0.1 0.0 -0.3 0.089
H 2.125 2.829 1.493 -0.3 -0.1 -0.2 0.075
H 1.425 2.816 -1.180 -0.1 -0.1 0.3 0.077
H -0.839 1.443 -1.477 0.2 0.0 0.4 0.100
H 0.200 -2.219 -0.566 0.2 0.4 0.2 0.098
H 0.653 -1.890 2.106 0.2 0.3 -0.3 0.086
H 2.952 -0.437 2.406 -0.2 -0.1 -0.4 0.080
H 3.921 0.132 -0.094 -0.3 -0.3 0.1 0.074
H 2.214 -0.971 -1.929 -0.1 0.0 0.4 0.084
N -2.832 -0.959 -3.559 -0.6 -2.1 -0.5 -0.048
C -3.146 -2.081 -3.806 1.4 4.9 1.1 -1.185
S -3.565 -3.574 -4.135 -0.8 -2.9 -0.7 0.278
```
Forces are in eV/Å.

* HOMO-LUMO gap (alpha / beta): 3.6 / 5.6 eV
* net charge: -2
* spin multiplicity: 5


A molecular structure, C13H13KN4OS in a non-equilibrium geometry, computed with ωB97M-V/def2-TZVPD.

```
33
Properties=species:S:1:pos:R:3:forces:R:3:lowdin_charge:R:1
K -2.747 11.794 -2.644 -0.2 0.4 -0.1 0.754
N -2.226 16.831 -2.460 -0.5 -0.5 -0.7 0.032
C -2.524 15.492 -2.201 -0.1 0.6 -0.4 -0.894
S -3.828 14.796 -3.131 0.4 -0.1 0.4 0.445
N -1.803 14.998 -1.220 0.2 0.7 -0.1 -0.057
N -2.048 13.743 -0.828 -0.1 -0.5 0.9 -0.009
C -1.760 13.455 0.414 0.0 0.2 -0.8 -0.197
C -1.206 14.390 1.426 1.2 -1.3 0.1 -0.170
C -0.176 13.917 2.306 -0.8 1.0 -0.2 -0.027
C 0.336 14.777 3.272 -0.3 -0.2 0.0 -0.093
C -0.142 16.080 3.379 0.0 0.5 -0.4 -0.095
C -1.038 16.562 2.425 -0.6 0.4 0.6 -0.076
C -1.590 15.709 1.473 0.1 0.7 0.5 -0.044
C -2.059 12.064 0.813 -0.2 -0.8 0.5 -0.222
C -2.462 11.721 2.131 0.2 -0.5 -1.9 0.004
C -2.917 10.431 2.348 0.4 0.8 0.3 -0.057
C -2.908 9.500 1.325 -0.9 -0.3 0.7 -0.071
C -2.465 9.898 0.091 0.2 -0.3 0.3 -0.165
N -2.024 11.127 -0.149 0.0 0.1 -0.4 0.019
H -2.580 17.247 -3.331 0.3 -0.6 0.8 0.077
H -1.333 17.155 -2.128 0.0 0.0 0.1 0.077
H 0.187 12.898 2.263 -0.1 0.0 -0.2 0.112
H 1.081 14.440 3.983 0.0 -0.1 -0.1 0.099
H 0.198 16.727 4.190 0.0 -0.2 -0.3 0.102
H -1.434 17.596 2.461 0.5 -0.7 0.1 0.112
H -2.330 16.104 0.800 -0.1 -0.1 -0.1 0.104
H -2.471 12.459 2.887 0.0 0.6 0.7 0.104
H -3.273 10.212 3.336 -0.2 -0.4 0.2 0.106
H -3.367 8.529 1.494 0.3 0.0 -0.2 0.108
H -2.473 9.128 -0.686 0.2 0.5 -0.2 0.111
O -5.131 12.488 -1.043 -0.1 -0.8 -0.1 -0.118
H -4.910 13.251 -1.583 0.2 0.8 -0.5 -0.098
=====
Back to the text:

Betway’s dissatisfaction takes many forms. 

They’re unhappy, for a start, with how CSA has handled things in relation to under-19 captain David Teeger. CSA’s first pass at the kerfuffle, remember, was to call in senior counsel Wim Trengove to adjudicate remarks Teeger made at the Jewish Achievers Awards’ Ceremony on 22 October. When Trengove said Teeger’s statements weren’t detrimental to the game, the matter appeared to have been put to rest. 

Except that on the eve of South Africa’s hosting of the under-19 World Cup a week ago, CSA stripped Teeger of the captaincy, saying it was “in his own best interests and those of the team”. 

Teeger remains part of the team, however, which raises the question of whether CSA seriously expects a thinking public to believe the risk of protest and even violence at the team’s matches is reduced because he’s not the guy who tosses the coin?

4 Day Match: South Africa 'a' V West Indies 'a', Day 4
Clyde Fortuin is a promising member of the Proteas team. (Christiaan Kotze/Gallo Images)

While Betway is disenchanted with CSA, it is starry-eyed about the SA20, and continues to be the sponsor of this year’s tournament. 

All well and good, except there’s a problem. CSA is the guardian of the game in this country and the SA20, which has a governing council independent of it, is nominally under its control. 

CSA attracts very few sponsors, and one of the few, Betway, has just failed to renew as an event sponsor for its Test team. 

At the same time, Betway is pleased to be involved with the SA20, which is punted like nobody’s business on co-owner SuperSport, and has a glitz and glamour with which the more sedate and fluvial forms of the game can’t compete. 

So, what do we have? CSA, after two attempts (the T20 Global League and the Mzansi Super League) going back seven years, finally has a T20 tournament that sticks. 

From the point of view of Betway, what’s germane here is that the SA20 is as far away from CSA as it’s possible to get, while still being nominally under CSA’s control. 

In creating the SA20, CSA has  fallen into the unintended consequence of creating opposition for itself. It’s called cannibalisation. And it brings us back to the idea that neither the fans, nor the market, nor anyone else associated with cricket in this country, really know what the hell’s going on.

CSA is painfully aware of this, at least in part, because only last year it bleated that it needed to be given more credit for its role in the SA20 by SuperSport and the SA20 organisers. 

Suddenly you found the cheesy spectacle of overweight middle-aged men in tight-fitting clothes appearing on behalf of CSA at all the SA20 post-match awards and interviews. 

It was rather like taking your children to Joburg Zoo on a pleasant Sunday afternoon, only to see a troupe of clowns wander into the lion’s den. 

Over in New Zealand, the Proteas’ whites won’t be quite as slim-fitting, and the team will have room to move out of the sometimes fetid confines of the local sporting fishbowl.

In a way, the Shukri Conrad-coached team are in a win-win. They’re not first-choice, so no one expects them to do very well; such negative expectations mean the pressure is off and, who knows? They might just surprise us with a win.

In point of fact, they’re not too shabby a side, and there’s a wisdom to some of Conrad’s choices. 

Take David Bedingham, who made his debut against India at Centurion on Boxing Day and looked the part, as well as Zubayr Hamza, once Bedingham’s middle-order colleague at Western Province. 

After falling foul of a drugs ban, Hamza moved from Western Province to the Lions in the off-season, with immediate positive results. 

He’s had a good first-class season for his new province, and he’s played Test cricket in New Zealand before, representing the Proteas the last time they were there during a Covid-disrupted series this time two years ago. 

If ever there’s a time to convert promise into a regular place in the side, now is it.

Another member of the side is 37-year-old Boland leg-spinner Shaun von Berg, who is in the side with his Boland teammate, Clyde Fortuin, a wicket-keeper. 

Von Berg, who was a Tshwane boy before taking a detour via Bloem and ending up in Paarl, can’t talk more highly of the effervescent Fortuin. 

“We’re roomies at Boland,” he says, “Clyde’s got a good cricket brain, so I don’t need to signal him or anything — he knows exactly what I’m doing, sometimes before I do it.”

While our Test cricketers are doing their thing in the Land of the Long White Cloud, the Teeger matter just won’t go away in The Land That Can Never Reach Consensus. A week ago, the South African under-19s — with Teeger in the side but not as captain — opened their campaign against the West Indies in Potch, where South Africa batted first. 

Teeger scored a slow 44 in 98 balls as SA posted 285 for nine. Before the game was over, however, he had regained the captaincy because the player who inherited it from him, Juan James, was injured. 

South Africa won a close match by 31 runs, with left-arm pace bowler and young hopeful Kwena Maphaka taking five for 38. 

And Teeger, the captain who was not captain, was captain for an hour and a half before the captaincy reverted back to James.